We departed New Zealand on the 18th after spending our last day touring the city of Christchurch, doing some much needed laundry and catching up on emails. Oh yeah, we lost $4 in the Christchurch Casino playing penny slots, its a tough life at the top. In short, New Zealand was more than we had imagined it would be. The beauty of the country was seared into our minds and the warmth of the people will stay in our hearts for years to come. Our last days on the south island were fast and furious.
After leaving Queenstown we headed north to Wanaka and got there by crossing over the Crown Moutain Range on highway 6a, the steepest road we had encountered on the whole island. As Deb snapped pictures out the window I was negotiating hairpin turns and watching for rock slides. The view from the top was spectacular as we could see for miles in all directions, well worth the white knuckle driving it took to get there! Cruising into the town of Wanaka we stopped along the lake that was coincidentally named Wanaka as well, creativity reigns in this region...We found the hike we were in need of at Mount Iron, a 543 meter monster that had our legs burning pretty good when we made the summit.
Again, as usual, the views were breathtaking and well worth the carbs we burned to get there. All around us the signs of spring were evident, baby sheep everywhere! Seriously, they are worse than rabbits. Hawks, birds and blooming flower trees made the valley look like a painting and the walk down was hardly noticed as we were entranced with the views.
We drove from Wanaka along the coast of the Tasman Sea, at this point on the island there is no land between NZ and Antarctica, another fact that I have stored away for random trivia night when we get back home. The island is home to numerous ecosystems and within an hour of leaving the mountainous terrain of Wanaka we were cruising by the coast and it felt like we were driving out in California along the Pacific. We made a few stops to snap pictures and build a Wronka road marker on the side of the road that thousands of

I thought of using our socks to catch some and finance the trip, but the smell emanating from them was not good bait in my book.
Arriving in the town of Fox Glacier (named after the local ice sheet we would soon tour)we found a nice campervan site for the evening and settled into some dinner and most importantly the opportunity
for me to get my barbeque on! I grilled myself up a nice NZ porterhouse, it was delicious and perfect. Deb enjoyed rice and canned beets, like a filet mignon for vegetarians I guess...We woke up to rain and lots of it, we decided to forgo the guided hike on the glacier and do some self exploring. For those that have not seen a glacier up close, you must! Walking out to Fox Glacier was awesome, we literally crawled, jumped and scampered our way within 100 feet of it before rope barriers (Darwin downers in my book) kept us from actually touching the glacier. It was enormous, having carved out the entire valley for thousands of years and currently receding into the mountain it shows the awesome strength these massive ice cubes have. We were pretty well soaked at this point,
On the recommendation of a friend who traveled the island a few years ago we stopped in at Wildside Backpackers that is run by Dan and Kathy, a pure New Zealand family. They were not open yet for the season, but remembering our friends Blake and Erika they opened up their home to us. I also think it helped we were absolutely drenched from our walk to the glaciers, they thought
we had driven a motorcycle thru the rain, that is how wet we looked. Giving us warm tea, a hot fire and good conversation we felt right at home with this lovely couple. They have two kids, 2 year old Shea and 1 month old Dylan to look after as well as their business which is an operation without rival. They live completely off the grid, the only electricity they use comes in the form of three lights in their house and the power comes from a diesel generator out back. Dan is an expert craftsman although he claims the ubiquitous title of “jack of all trades, master of none”, fitting for sure! They grow, hunt or trade with others in the area for all of their food and recycle just about anything into useful items. Dan's carpentry skills are out of this world and we got a personal taste as they put us up in a beautiful cottage that was just finished. A wood burning stove kept us warm throughout the night and heated our shower water. The floor was lined with animal skin to keep the feet warm and the bed must have been stuffed with a couple of geese because that thing was comfortable! Dan took us out to some natural hot springs for an afternoon soak. We dug our own personal hot tub on the banks of the Wanghuni River and enjoyed the thermal bath thoroughly. After getting the classic NZ spa treatment Dan and I went out to the coast for some White Bait fishing, it was a top 10 lifetime experience for me. We drove thru, I will say that again, we drove thru the river to get out to the Tasman Sea as the sun was setting for a couple of hours of White Baiting. For a first timer I think I did pretty good on my 4 passes down the shore with the net. We caught and later enjoyed a delicious dinner of about 200 White Bait. It was an amazing afternoon and made all the better by the company I shared it with.
Departing Hari Hari in the morning we made our way to Arthurs Pass for our last night on the road. St
opping in the seaside town of Hokitika we enjoyed a long walk on the beach in search of the elusive and very valuable Jade stone. We picked up anything that looked green or was on that part of the color wheel only to have our dreams of being rich dashed when a local told us that Serpentine is very similar to Jade and that our stash was made up completely of the stuff. Penniless in the sense that we had no Jade to sell local dealers we soothed our hurt pride with an ice cream cone on the way out town. Arriving in Arthurs Pass for our last night we realized the campervan options were pretty limited and opted to freedom camp down by the river. Yes, I made numerous Chris Farley jokes the whole evening about living in a van down by the river. Deb's amusement level was at an all-time low after the 30th
So, the trip to NZ was a huge success and we will most definitely be back as the time we had was not enough to explore it all! We recommend your next international adventure be in New Zealand as it will surely knock your socks off or at least a windshield wiper...
We arrived in Bangkok late last night, after a 12 hour flight from NZ. Today was about sleep and getting prepped for the coming week of orientation. We are staying at the Louis Tavern Hotel about 25km from central Bangkok. A short walk around the area led to lots of strange looks from the locals and a sobering moment for us as we realized we are now the minority. Its going to be great though, there have been plenty of laughs already, just ask us one day about our taxi ride from the airport to here! More to come on our time here as we open up another round of adventures in the coming months!
Arriving in the town of Fox Glacier (named after the local ice sheet we would soon tour)we found a nice campervan site for the evening and settled into some dinner and most importantly the opportunity

(Fox Glacier) but happy we made the trip so we hopped back in Wally and drove to Franz Josef glacier where we made a similar trek to the base of that behemoth wall of ice and rock. Thoroughly impressed with mother nature again we hit the road for Hari Hari.
On the recommendation of a friend who traveled the island a few years ago we stopped in at Wildside Backpackers that is run by Dan and Kathy, a pure New Zealand family. They were not open yet for the season, but remembering our friends Blake and Erika they opened up their home to us. I also think it helped we were absolutely drenched from our walk to the glaciers, they thought

**Here the page breaks off for data records:**
The following is a DFT calculation (wB97M-V/def2-TZVPD) of a molecular structure, C34H49BrDyF3N4O5S in a non-equilibrium geometry.

XYZ file:
```
98
Properties=species:S:1:pos:R:3
Dy 0.041 0.010 0.178
C -2.728 -2.338 6.221
O -3.550 -2.841 5.196
C -3.219 -2.586 3.904
C -4.222 -2.916 2.966
C -4.038 -2.617 1.651
C -2.861 -2.000 1.183
C -2.786 -1.515 -0.160
C -3.829 -1.928 -1.179
O -1.915 -0.709 -0.534
C -1.772 -1.784 2.104
O -0.604 -1.399 1.733
C -2.026 -2.056 3.475
H -3.280 -2.492 7.148
H -2.540 -1.270 6.079
H -1.774 -2.871 6.278
H -5.133 -3.368 3.321
H -4.836 -2.812 0.952
H -4.749 -1.373 -1.006
H -4.046 -2.991 -1.139
H -3.466 -1.671 -2.172
H -1.224 -1.833 4.163
C 0.077 5.186 -6.388
C 1.200 4.349 -5.763
C 1.741 3.412 -6.852
C 2.314 5.306 -5.311
C 0.730 3.555 -4.551
C 1.631 2.781 -3.831
C 1.193 2.155 -2.689
Br 2.360 1.014 -1.632
C -0.106 2.228 -2.160
O -0.381 1.642 -1.042
C -1.030 2.973 -2.944
C -0.584 3.598 -4.091
C -2.493 3.004 -2.530
C -3.354 3.883 -3.444
C -3.027 1.568 -2.604
C -2.625 3.539 -1.099
H 0.473 5.757 -7.226
H -0.338 5.891 -5.671
H -0.722 4.553 -6.767
H 2.045 3.998 -7.718
H 0.973 2.709 -7.166
H 2.601 2.846 -6.506
H 2.642 5.922 -6.146
H 3.173 4.760 -4.930
H 1.950 5.959 -4.521
H 2.656 2.662 -4.144
H -1.304 4.145 -4.668
H -3.346 3.525 -4.472
H -3.025 4.921 -3.424
H -4.386 3.856 -3.097
H -2.907 1.172 -3.612
H -4.083 1.542 -2.340
H -2.480 0.936 -1.911
H -2.213 4.545 -1.036
H -2.088 2.899 -0.404
H -3.672 3.568 -0.802
N 0.371 -1.777 -1.431
C 0.777 -2.787 -1.822
N 1.327 -3.865 -2.267
C 2.751 -3.860 -2.559
C 3.396 -5.075 -1.885
O 2.759 -6.270 -2.280
C 1.406 -6.268 -1.898
C 0.639 -5.108 -2.553
H 3.182 -2.934 -2.177
H 2.892 -3.919 -3.645
H 3.335 -4.954 -0.795
H 4.440 -5.169 -2.183
H 1.325 -6.187 -0.805
H 0.996 -7.226 -2.221
H -0.380 -5.062 -2.169
H 0.615 -5.261 -3.640
C 3.082 -1.087 5.353
C 2.526 -0.080 4.348
N 2.262 -0.675 3.058
C 3.162 -0.906 2.097
S 2.633 -1.626 0.669
N 4.453 -0.639 2.331
C 5.502 -0.770 1.346
C 5.809 0.555 0.654
H 3.229 -0.593 6.308
H 4.032 -1.498 5.027
H 2.392 -1.913 5.488
H 3.220 0.760 4.231
H 1.579 0.327 4.708
H 1.297 -0.916 2.838
H 4.680 -0.058 3.128
H 5.167 -1.503 0.611
H 6.388 -1.151 1.866
H 4.953 0.878 0.063
H 6.665 0.432 -0.003
H 6.048 1.328 1.383
F -1.082 1.246 1.676
C 0.060 1.267 2.544
F 1.134 1.368 1.479
F 0.042 2.551 2.988
```

<S²>: 9.326
LUMO level (spin up / spin down): 0.37 / 0.37 eV
relative energy (zero: lowest compared OMol25 entry of this formula, charge and spin): 0.315 eV
2S+1: 6
highest occupied orbital energy (spin up / spin down): -7.25 / -7.26 eV

The following is a DFT calculation (wB97M-V/def2-TZVPD) of C4H7N3 in the gas phase in a non-equilibrium geometry.

XYZ file:
```
14
Properties=species:S:1:pos:R:3
C -0.547 2.211 -0.486
N 0.093 1.029 -1.041
C 0.163 -0.146 -0.323
C 0.147 -0.293 1.141
C 0.129 -1.698 1.221
N 0.199 -2.249 0.010
N 0.206 -1.294 -0.973
H -0.138 2.408 0.506
H -0.331 3.069 -1.131
H -1.641 2.114 -0.391
H -0.112 0.869 -2.021
H 1.180 -0.608 1.555
H 0.081 -2.256 2.148

Departing Hari Hari in the morning we made our way to Arthurs Pass for our last night on the road. St

comment and Farley would have been embarrassed as well. That evening we had visitors in the form the Kea, a parrot looking bird that scientists claim is the smartest animal in the world. I won't argue that point, but I will say that it can also be put in the running for the most annoying animal in the world. Shortly after arriving, we pulled out the chairs and set up the propane stove to boil water for pasta and tea. The birds (think Hitchcock movie now) literally went after anything we pulled out, the bag of pasta, tea bags, a spoon and most maddening to me, my beer bottle. It took everything in me not to peg one of the little bastards with a rock, but I figured Deb would not appreciate Kea on the BBQ on the last night. We finished dinner, took a walk along the river which was swollen with snow melt from the nearby mountains and called it a night as the sandflies, a cousin of the mosquito, came out in battalions and ravaged our ankles and necks. Sitting in the van at 8:30pm and playing cribbage was a good way to end our trip, especially since I was winning, but alas the good times came to an end when the Kea I called “Hoppy” because he had a broken leg and hopped on the good one alighted on the hood of Wally. Old Hoppy began to chew and peck at our windshield wiper and before I could scare him off with a slam of my fist on the window he successfully ripped the wiper blade in two. The drive home the next day was made a bit more interesting as it rained the whole way, we had one working wiper and there were no stores to buy a new one. Kea's are smart and vengeful animals, beware!
So, the trip to NZ was a huge success and we will most definitely be back as the time we had was not enough to explore it all! We recommend your next international adventure be in New Zealand as it will surely knock your socks off or at least a windshield wiper...
We arrived in Bangkok late last night, after a 12 hour flight from NZ. Today was about sleep and getting prepped for the coming week of orientation. We are staying at the Louis Tavern Hotel about 25km from central Bangkok. A short walk around the area led to lots of strange looks from the locals and a sobering moment for us as we realized we are now the minority. Its going to be great though, there have been plenty of laughs already, just ask us one day about our taxi ride from the airport to here! More to come on our time here as we open up another round of adventures in the coming months!
New Zealand sounds amazing! I think it's great you got to drive through so much of it. Baby Tyrer has been moving like crazy while I've been reading. He/she must be a future traveler! :)